[Entries]
____________
Structure and simulated X-ray powder pattern of PmPrNd2Dy4 (the GGA-PBE geometry in Alexandria; λ = 1.5418 Å (Cu Kα)).
No peak broadening, texture or thermal motion is included.

Principal peaks in the range 10 to 90 degrees two-theta, low angle first:
30.28°, rel. 100
30.52°, rel. 33
35.18°, rel. 67
50.44°, rel. 24
50.75°, rel. 24
59.97°, rel. 14
60.11°, rel. 29
60.38°, rel. 14
62.99°, rel. 12
82.11°, rel. 12

Structure:
```
PmPrNd2Dy4
1.0
6.2677 -3.6178 0.0000
6.2677 3.6178 0.0000
-4.1840 0.0000 11.7179
Pm Pr Nd Dy
2 2 4 8
Cartesian
3.1339 1.8089 0.0000
3.1339 -1.8089 0.0000
0.0000 0.0000 0.0000
-2.0920 0.0000 5.8589
1.0419 1.8089 5.8589
1.0419 -1.8089 5.8589
6.2677 0.0000 0.0000
4.1757 0.0000 5.8589
2.0898 0.0000 2.9254
-0.0035 0.0000 8.7937
5.2203 1.8082 2.9246
3.1311 1.8082 8.7933
5.2203 -1.8082 2.9246
3.1311 -1.8082 8.7933
8.3549 0.0000 2.9242
6.2617 0.0000 8.7925
```
____________

[To do]
What is needed: return the lines above from the one with "50.44°, rel." to the one with "6.2677 -3.6178" exactly.

[Completed]
50.44°, rel. 24
50.75°, rel. 24
59.97°, rel. 14
60.11°, rel. 29
60.38°, rel. 14
62.99°, rel. 12
82.11°, rel. 12

Structure:
```
PmPrNd2Dy4
1.0
6.2677 -3.6178 0.0000